Need advice on a frustrating mental Fat Loss Journey

So anyways, I have lost about 12-15 pounds over the last 3 months, although I used to be able to lose much faster. That was back in the days when I used to starve and workout. Now I eat enough to satiate my diet, mostly lean meats, complex carbs, and veggies. My workout regimen is pretty great. I bike about 20-30 miles sometimes, or I'll walk about 10 miles, or I'll do the machines at the gym for about 2 hours. I also lift weights and the cardio has made me MUCH stronger than before, I'm able to do many more reps for every muscle now.

I also want to say that I don't feel worn out. I push myself on the stairmaster, but still not all the way to level 12, still right in the middle. I do that for about an hour. Bottom line, I do cardio about 6 days a week, weights 3 days. I do intervals on the side as well. I don't feel worn out, I feel challenged, but my body is starting to get in great shape and I'm feeling much lighter and have more muscle.

However, at 5 ft 11 with a big muscle build, there hasn't been a lot of people that have noticed, (not that I'm mentioning it) and the thing frustrates me the most is that many times after a weight training workout, my stomach looks fatter in the mirror. Although I am fitting in shirts I haven't worn in years, I look more huge in them, at least muscle wise. After a cardio, same thing. After an HIIT interval, same thing. But I do admit that I sweat a heck of a lot and my body requires me to drink a great deal of water. However, I thought when you drink water, your body releases water, so I don't see how that can make me look flabbier or rounder, but I'm guessing it does.

(Inserted here: crystal structures)
- - -
1.
Diffraction record for Nd2Cd7. The XRD peak list is theoretical, not measured: it uses DFT lattice parameters and positions (GGA-PBE) and copper Kα.
Peak positions follow from Bragg's law for the DFT cell and can differ from measured ones.

```
data_Nd2Cd7
_chemical_formula_sum 'Nd12 Cd42'
_symmetry_space_group_name_H-M 'R -3 m'
_symmetry_Int_Tables_number 166
_symmetry_space_group_name_Hall '-R 3 2"'
_cell_length_a 5.9878
_cell_length_b 5.9878
_cell_length_c 43.2148
_cell_angle_alpha 90.00
_cell_angle_beta 90.00
_cell_angle_gamma 120.00
loop_
_atom_site_label
_atom_site_fract_x
_atom_site_fract_y
_atom_site_fract_z
Nd1 0.0000 0.0000 0.0513
Nd2 0.0000 0.0000 0.1499
Cd1 0.0000 0.0000 0.2778
Cd2 0.0000 0.0000 0.3900
Cd3 0.0000 0.0000 0.5000
Cd4 0.0000 0.5000 0.0000
Cd5 0.0061 0.5030 0.8881
```

The 12 most intense peaks (5 to 70 degrees two-theta), by angle:
2θ (°)	Rel. int.	hkl
26.86	14	1 0 10
28.50	14	0 1 11
29.84	27	1 1 0
34.66	27	0 2 1
34.85	8	2 0 2
35.33	100	1 1 9
37.47	27	0 0 18
37.63	10	0 2 7
38.51	24	2 0 8
39.48	9	0 1 17
56.59	25	0 3 9
61.99	24	2 2 0

***

2.
Diffraction record for CrB2Rh. The XRD peak list is theoretical, not measured: it uses DFT lattice parameters and positions (GGA-PBE) and copper Kα.
Peak positions follow from Bragg's law for the DFT cell and can differ from measured ones.

```
data_CrB2Rh
_chemical_formula_sum 'Cr4 B8 Rh4'
_symmetry_space_group_name_H-M 'F m -3 m'
_symmetry_Int_Tables_number 225
_symmetry_space_group_name_Hall '-F 4 2 3'
_cell_length_a 5.341
_cell_length_b 5.341
_cell_length_c 5.341
_cell_angle_alpha 90.00
_cell_angle_beta 90.00
_cell_angle_gamma 90.00
loop_
_atom_site_label
_atom_site_fract_x
_atom_site_fract_y
_atom_site_fract_z
Cr1 0.000 0.000 0.000
B1 0.250 0.250 0.250
Rh1 0.000 0.000 0.500
```

The 5 most intense peaks (5 to 70 degrees two-theta), by angle:
2θ (°)	Rel. int.	hkl
28.96	25	1 1 1
33.56	98	2 0 0
48.19	100	2 2 0
57.21	12	3 1 1
60.00	24	2 2 2

***

3.
Diffraction record for Tm6Ni5Ru. The XRD peak list is theoretical, not measured: it uses DFT lattice parameters and positions (GGA-PBE) and copper Kα.
Peak positions follow from Bragg's law for the DFT cell and can differ from measured ones.

```
data_Tm6Ni5Ru
_chemical_formula_sum 'Tm12 Ni10 Ru2'
_symmetry_space_group_name_H-M 'C m m m'
_symmetry_Int_Tables_number 65
_symmetry_space_group_name_Hall '-C 2 2'
_cell_length_a 4.739
_cell_length_b 14.192
_cell_length_c 6.609
_cell_angle_alpha 90.00
_cell_angle_beta 90.00
_cell_angle_gamma 90.00
loop_
_atom_site_label
_atom_site_fract_x
_atom_site_fract_y
_atom_site_fract_z
Tm1 0.000 0.000 0.250
Tm2 0.000 0.334 0.249
Ni1 0.000 0.165 0.000
Ni2 0.000 0.167 0.500
Ni3 0.000 0.500 0.500
Ru1 0.000 0.500 0.000
```

The 12 most intense peaks (5 to 70 degrees two-theta), by angle:
2θ (°)	Rel. int.	hkl
26.63	21	1 3 0
26.98	10	0 0 2
38.01	51	2 0 0
38.27	100	1 3 2
47.23	9	2 0 2
54.84	17	2 6 0
55.63	8	0 0 4
61.98	4	1 9 0
62.16	4	2 6 2
62.71	4	1 3 4
68.84	35	3 3 2
69.36	17	2 0 4

***

4.
- - -

I still have about 20 pounds to lose. I'm sure by then it will be more obvious, but sometimes my mind can play games with me. Sometimes I wonder if I'm the one person in the world that won't be able to lose the fat and reach his goals. I do put in my hours and eat pretty healthy and watch what I'm eating. I'm not eating more than 2,000 calories per day, but I'm also not starving myself.

Also, I have absolutely no problem going to balls to the wall in the gym. I love this, I love weights, I love long hikes, I love to challenge myself like an athlete does. I have no issues with how much fun I'm having. And often times I get this big high while I'm doing my cardio and I feel much lighter and I have much more energy. But then I get discouraged when I go to the bathroom, take off my shirt and I look in the mirror as if I gained 10 pounds. Maybe its water? Again, I have to drink water. For the amount of energy I spend and sweat, my body has to have tons of water.

So bottom line, I have no issues with motivation. I'm training almost like an athlete who logs in his hours, and I'm at the point where I'm not extremely worn out, my body craves it. Most of my improvements thought have been in being able to lift more weights, being able to run further and faster. I still have at least 20 pounds to lose and sometimes I doubt myself and wonder if Im the one exception who's body will not ever allow him to get to his goal. I know that's probably not true, but sometimes my mind can tell me that.

As for people telling me to scale it down, I don't really want to. I love what I do and I know my bodies limits. I'm in great shape and this is the type of intensity and volume I need.

I noticed I'm shier around people now. I have lost some weight and put on some muscle, but I have confidence issues. When people see me and it's as if they don't notice a single change, I almost want to cry inside. Maybe I need to lose more for others to notice. I mean I used to have a stomach that sticked out, now it's flat, just a little pudge, that's it. But I guess I wear big clothing and that doesn't help.

So there are 2 issues here. The first one is sometimes I doubt that everything will work out, no matter WHAT program I follow or what diet or what activity I do. The second issue is it hurts my feelings when others don't seem to notice. Because in the past, like 5 years ago when I went on an extreme diet, people seemed to notice instantly. But when I gained it back, nobody seemed to notice either, or they never talked about it. Now that I'm sorta losing it more gradually, they obviously don't really notice, and I put all this time in and sometimes feel upset.

I guess I don't mind being patient. but I want a guarantee that if I keep creating a deficit and continue pushing myself, everything will work out in the end. I'm totally more fit now, I bike 30 miles easily, I do stairs for an hour at a moderate pace without getting out of breath, and I have no problem training in any way or style. But sometimes I have this fear that my body won't let me reach my goal, and even when I do, it might upset me that people still may not notice. It's sort of a feedback thing.


  • healthygreek
    healthygreek Posts: 2,137 Member

    If you stick with it, you'll reach your goal.

    Why care what others think?
  • If it is gradual people that you see daily might not be noticing. If you run into someone you have seen in 6 months to a year they will probably notice.

    I never weigh myself right after a work out for the same reasons you are stating, I always gain after a workout because of the water I drink and the lactic acid in my muscles. I've stopped weighing myself after workout so I need to stop looking at yourself in the mirror after them.

    Then mental game of weight loss is tough, I'm dealing with it too,
  • hearthwood
    hearthwood Posts: 794 Member
    We all have to be patient, I have peeled off 12 pounds over the last 5 months, and only one person, my sister, said wow you've lost some weight. My friends who haven't seen me in awhile didn't say anything. There are some that will bring it up and others who notice it but won't say anything. It's just personalities, but this is for you, not them.
  • besaro
    besaro Posts: 1,858 Member
    people don't say things for all sorts of reasons. who knows why you are looking thinner? maybe its medical, maybe you're sick. maybe they don't care and are wondering why you didn't mention their weight loss. you want feedback? show your b/a here, we will tell you how great you are doing.
  • BlackPup
    BlackPup Posts: 242 Member
    You might have a flabbier looking tummy after exercise cos the muscles are tired and not holding themselves as tightly as before the exercise. Look at athletes after they've raced (particularly swimmers).
    You can't control how other people act towards you so stop trying to.
  • MelodyandBarbells
    MelodyandBarbells Posts: 7,725 Member
    If it is gradual people that you see daily might not be noticing. If you run into someone you have seen in 6 months to a year they will probably notice.

    I never weigh myself right after a work out for the same reasons you are stating, I always gain after a workout because of the water I drink and the lactic acid in my muscles. I've stopped weighing myself after workout so I need to stop looking at yourself in the mirror after them.

    Then mental game of weight loss is tough, I'm dealing with it too,

+++
Ba6Y3Co3Cu6O22: calculated powder XRD pattern (CuKα), based on a DFT-relaxed cell (PBE+U, Alexandria).
Kinematic intensities with the Lorentz-polarization factor, no thermal factor.

Largest 10 diffraction maxima, in order of falling intensity, 15° ≤ 2θ ≤ 90°:
hkl  2θ/deg  intensity
0 1 3  32.4  100
3 0 2  32.2  50
6 1 -5  57.5  35
3 2 2  57.8  18
0 2 0  46.7  16
6 0 -2  46.2  16
6 2 -2  67.8  15
3 1 2  39.9  14
0 0 6  46.1  9
0 0 5  38.1  8

Structure:
```
40
Lattice="11.780 0.000 0.000 0.000 3.892 0.000 -3.924 0.000 11.807" Properties=species:S:1:pos:R:3 pbc="T T T"
Ba 0.001 0.000 2.163
Ba -0.044 0.000 9.676
Ba 3.882 0.000 2.136
Ba 3.974 0.000 9.671
Ba 7.900 0.000 2.131
Ba 7.855 0.000 9.644
Y 0.013 0.000 5.927
Y 3.928 0.000 5.903
Y 7.844 0.000 5.880
Co 2.137 1.946 0.001
Co 5.890 1.946 0.000
Co 5.720 1.946 11.805
Cu -1.970 1.946 7.555
Cu 1.961 1.946 4.252
Cu 1.968 1.946 7.634
Cu 5.888 1.946 4.173
Cu 5.895 1.946 7.555
Cu 9.826 1.946 4.252
O -1.959 0.000 7.331
O -2.079 1.946 10.007
O 0.004 1.946 4.498
O 1.816 0.000 0.002
O -0.011 1.946 7.373
O 1.850 1.946 1.804
O 1.970 0.000 4.474
O 0.143 1.946 11.806
O 1.967 0.000 7.328
O 1.968 1.946 9.945
O 3.915 1.946 4.459
O 3.941 1.946 7.347
O 5.888 1.946 1.862
O 5.889 0.000 4.478
O 7.713 1.946 0.001
O 5.886 0.000 7.333
O 6.006 1.946 10.003
O 7.867 1.946 4.433
O 6.040 0.000 11.805
O 7.853 1.946 7.309
O 9.935 1.946 1.799
O 9.815 0.000 4.476
```
+++

    Well some only notice after you mention it. Sometimes I really notice it myself in the mirror, other times I doubt myself. But the fact is that I am fitting in shirts I haven't fit in in years.

    I think that when I was gaining weight, I wore such loose clothes, people didn't notice all that much. So now even when I wear a smaller shirt, they wouldn't be able to tell. However, if I would have worn the same shirts in the past, my belly would bulge out, so obviously I didn't wear them.

    It's weird cuz when I lose weight, more people ask me if I've been lifting. They say I look stronger, not necessarily smaller.

    The hard part about this is sometimes I wonder if my body won't let me achieve my goals all the way. I'll do whatever it takes, but sometimes I wonder if it's not possible as in I have a special case. I have lost weight but I just wish others could notice. I guess my loose clothes hid it pretty good.

    The other thing too I don't get is why does my stomach get bigger after a lot of water? I thought the more water you drink, the more you urinate. So after urination, don't you lose a lot?

    If you mean after you down a ton of water at once your stomach sticks out, well the water has to go somewhere?

    At some point in my journey I also felt my stomach was sticking out more. It never really stuck out before but it seemed that other body parts around it slimming down made it seem bigger in comparison. That phase didn't last too long, though. Hopefully yours won't last much longer yet. Keep at it!